_Wanted_
Could you echo the calculation results further below from the line with "41.7, 2.166," to the end without additions?
_Data_
-- begin --
Diffraction record for MoS2. The powder diffractogram is simulated, not measured: it uses a cell relaxed with PBE and Cu Kα (λ = 1.5418 Å).

Top 10 peaks for 2θ = 10–90°, in order of rising 2θ:
2θ (°), d (Å), I (rel.)
10.1, 8.720, 100
15.2, 5.813, 19
32.8, 2.729, 16
34.0, 2.634, 15
36.0, 2.495, 19
38.6, 2.334, 21
41.7, 2.166, 22
45.3, 2.003, 17
49.2, 1.850, 11
58.1, 1.588, 12

Crystal structure
Cell: 3.190 3.190 17.440 Å, 90.00 90.00 120.00°
Atoms (fractional coordinates):
Mo 0.000 0.000 0.000
S 0.333 0.667 0.090
S 0.333 0.667 0.910
-- stop --
_Solution_
41.7, 2.166, 22
45.3, 2.003, 17
49.2, 1.850, 11
58.1, 1.588, 12

Crystal structure
Cell: 3.190 3.190 17.440 Å, 90.00 90.00 120.00°
Atoms (fractional coordinates):
Mo 0.000 0.000 0.000
S 0.333 0.667 0.090
S 0.333 0.667 0.910